The So Called Experts... Aren't
The world – or at least the media – is awash in experts. They are right there on your favorite news channel slipped in between the talking heads. The media loves experts, and they want you to love them too.
**Calculated crystals from another source follow**
=====
1.
Material: K2AgTeO
Method: DFT, GGA-PBE
State: relaxed

a = 5.9538 Å, b = 5.9538 Å, c = 4.0219 Å
α = 90.00°, β = 90.00°, γ = 90.00°
Closest atoms and distances in Å follow each position.
Element x y z (fractional)
K 0.0000 0.5000 0.0000  2 O 2.98
K 0.5000 0.0000 0.0000  2 O 2.98
Ag 0.0000 0.0000 0.5000  2 O 2.01
Te 0.5000 0.5000 0.5000  8 K 3.59, 2 Te 4.02
O 0.0000 0.0000 0.0000  2 Ag 2.01

Results
- symmetry = No. 123
- E_form (uncorrected) (meV/atom) = -674
- calculated density (Mg/m³) = 3.840
- density of states at the Fermi level (states/eV/f.u.) = 3.998

2.
Material: Na2SbTeO6
Method: DFT, GGA-PBE
State: relaxed

a = 5.6749 Å, b = 5.6749 Å, c = 4.0144 Å
α = 90.00°, β = 90.00°, γ = 90.00°
Closest atoms and distances in Å follow each position.
Element x y z (fractional)
Na 0.0000 0.5000 0.0000  12 O 2.84
Na 0.5000 0.0000 0.0000  12 O 2.84
Sb 0.0000 0.0000 0.5000  6 O 2.01
Te 0.5000 0.5000 0.5000  6 O 2.01
O 0.0000 0.0000 0.0000  2 Sb 2.01
O 0.2500 0.2500 0.5000  1 Te 2.01, 1 Sb 2.01
O 0.2500 0.7500 0.5000  1 Te 2.01, 1 Sb 2.01
O 0.5000 0.5000 0.0000  2 Te 2.01
O 0.7500 0.2500 0.5000  1 Te 2.01, 1 Sb 2.01
O 0.7500 0.7500 0.5000  1 Te 2.01, 1 Sb 2.01

Results
- symmetry = No. 123
- E_form (uncorrected) (meV/atom) = -1320
- calculated density (Mg/m³) = 5.026
- density of states at the Fermi level (states/eV/f.u.) = 1.291

3.
Material: Cs2NaSnI6
Method: DFT, GGA-PBE
State: relaxed

a = 8.7381 Å, b = 8.7381 Å, c = 8.7381 Å
α = 60.00°, β = 60.00°, γ = 60.00°
Closest atoms and distances in Å follow each position.
Element x y z (fractional)
Cs 0.2500 0.2500 0.2500  12 I 4.37
Cs 0.7500 0.7500 0.7500  12 I 4.37
Na 0.0000 0.0000 0.0000  6 I 3.16
Sn 0.5000 0.5000 0.5000  6 I 3.02
I 0.2555 0.2555 0.7445  1 Sn 3.02, 1 Na 3.16
I 0.2555 0.7445 0.2555  1 Sn 3.02, 1 Na 3.16
I 0.2555 0.7445 0.7445  1 Sn 3.02, 1 Na 3.16
I 0.7445 0.2555 0.2555  1 Sn 3.02, 1 Na 3.16
I 0.7445 0.2555 0.7445  1 Sn 3.02, 1 Na 3.16
I 0.7445 0.7445 0.2555  1 Sn 3.02, 1 Na 3.16

Results
- symmetry = No. 225
- E_form (uncorrected) (meV/atom) = -1013
- calculated density (Mg/m³) = 4.114
- density of states at the Fermi level (states/eV/f.u.) = 5.077
- excess energy over the best structure of this formula in the dataset (eV per atom) = 0.010

4.
Material: Co3Ni7Rh
Method: DFT, GGA-PBE
State: relaxed

a = 5.9088 Å, b = 5.9088 Å, c = 4.4150 Å
α = 108.79°, β = 108.79°, γ = 90.35°
Closest atoms and distances in Å follow each position.
Element x y z (fractional)
Co 0.0000 0.0000 0.0000  6 Ni 2.34-2.40
Co 0.2267 0.7733 0.5000  7 Ni 2.29-2.47
Co 0.7733 0.2267 0.5000  7 Ni 2.29-2.47
Ni 0.0523 0.5918 0.8185  3 Co 2.34-2.47, 3 Ni 2.42-2.53, 1 Rh 2.62
Ni 0.1792 0.1792 0.6085  3 Co 2.33-2.40, 1 Rh 2.43, 2 Ni 2.53
Ni 0.4082 0.9477 0.1815  3 Co 2.34-2.47, 3 Ni 2.42-2.53, 1 Rh 2.62
Ni 0.5000 0.5000 0.5000  2 Rh 2.21, 2 Co 2.29
Ni 0.5918 0.0523 0.8185  3 Co 2.34-2.47, 3 Ni 2.42-2.53, 1 Rh 2.62
Ni 0.8208 0.8208 0.3915  3 Co 2.33-2.40, 1 Rh 2.43, 2 Ni 2.53
=====
**The calculated crystals stop here**
It can be tempting to have absolute trust in what they say. We see a man or woman being grilled with questions on a mysterious topic, and watch in amazement as they break the complex down to the simple and do so with ease and absolute confidence. How could they possibly be wrong?
Actually, they can. Media supplied expert advice is free, and as we all know, you get what you pay for! Be careful in accepting the advice of any expert.
Expert Worship vs. Expert Reality
Did you have a hero when you were a kid? Some of us have them as adults. Some adults think that experts are heroes. You might have one or more friends or coworkers who will inject something to the effect of “Ed the Expert said..” in response to nearly any question or subject of any substance.
That’s expert worship. But no matter how big the halo is that we put over any expert, we have to face a few facts about them that are practically self-evident:
They’re usually not independent. The vast majority of experts – especially if they are popular in the mainstream media – are part of a business or industry, and their opinions and pronouncements are usually friendly to that fraternity. They may also be selling something – such as representing a product or service, or even selling their own advice.
The designated expert is often the best salesman in the flock. The people who emerge as top experts are not always the most knowledgeable. Very often, the top experts are the best salesman – they have a salesman’s way of making their point forcefully and convincingly. Still others reach the status because they have the best connections. But sales ability and connections don’t necessarily make for valid advice.
When an expert becomes a celebrity. It’s often said of athletes that none of them ever improve their performance after signing a fat contract. The situation is similar with experts. Once they reach celebrity status, their price goes up and performance goes down. Soon enough their opinions become more important for who said it, than for the validity of the information – after all, it MUST be true because a recognized expert said it.
Like you and me, they’re human. Experts aren’t special super humans, they’re as human as you and me. That means that they get it wrong a lot of the time. But since expert status is usually given to people who occasionally make the right pronouncement at a critical time, their advice is often considered to be downright otherworldly.
Listen to an expert opinion, think about it carefully and critically, but don’t base important decisions on it.
Experts Won’t Pay You If Their Advice Is Wrong
One of the fundamental problems with experts, especially the famous ones, is if the advice they give turns out to be wrong they will not compensate you in any way for the bad advice. This alone should give you pause to proceed on any experts opinion.
The expert does not work for you, and most likely doesn’t even know you personally. He or she has absolutely no stake in your success or failure. Never forget this.
## Data records that have nothing to do with the page
VASP calculation (PBE) on a geometry-optimized Cs2ErAg2Br6 structure.

Values from the calculation:
Raw formation energy ... -1265 meV/atom
Theoretical density ... 4.2 g/cm³

CIF file:
```
data_Cs2ErAg2Br6
_cell_length_a 14.057
_cell_length_b 8.120
_cell_length_c 9.150
_cell_angle_alpha 90.00
_cell_angle_beta 122.41
_cell_angle_gamma 90.00
_symmetry_space_group_name_H-M 'C 1 2/m 1'
_symmetry_Int_Tables_number 12
loop_
_symmetry_equiv_pos_as_xyz
'x,y,z'
'-x,-y,-z'
'-x,y,-z'
'x,-y,z'
'x+1/2,y+1/2,z'
'-x+1/2,-y+1/2,-z'
'-x+1/2,y+1/2,-z'
'x+1/2,-y+1/2,z'
loop_
_atom_site_label
_atom_site_type_symbol
_atom_site_fract_x
_atom_site_fract_y
_atom_site_fract_z
Cs1 Cs 0.212 0.000 0.185
Er1 Er 0.000 0.000 0.500
Ag1 Ag 0.047 0.500 0.175
Br1 Br 0.055 0.235 0.757
Br2 Br 0.223 0.000 0.589
```


VASP calculation (PBE) on a geometry-optimized Cs3Ag2Br4F2 structure.

Values from the calculation:
Raw formation energy ... -1405 meV/atom
Theoretical density ... 4.2 g/cm³

CIF file:
```
data_Cs3Ag2Br4F2
_cell_length_a 5.305
_cell_length_b 5.305
_cell_length_c 27.076
_cell_angle_alpha 90.00
_cell_angle_beta 90.00
_cell_angle_gamma 90.00
_symmetry_space_group_name_H-M 'I 4/m m m'
_symmetry_Int_Tables_number 139
_symmetry_space_group_name_Hall '-I 4 2'
loop_
_atom_site_label
_atom_site_type_symbol
_atom_site_fract_x
_atom_site_fract_y
_atom_site_fract_z
Cs1 Cs 0.000 0.000 0.000
Cs2 Cs 0.000 0.000 0.196
Ag1 Ag 0.000 0.000 0.384
Br1 Br 0.000 0.500 0.095
F1 F 0.000 0.000 0.298
```


VASP calculation (PBE) on a geometry-optimized CsAg2BrF2 structure.

Values from the calculation:
Raw formation energy ... -1304 meV/atom
Theoretical density ... 4.9 g/cm³

CIF file:
```
data_CsAg2BrF2
_cell_length_a 6.140
_cell_length_b 5.799
_cell_length_c 9.283
_cell_angle_alpha 90.00
_cell_angle_beta 105.34
_cell_angle_gamma 90.00
_symmetry_space_group_name_H-M 'P 1 21/m 1'
_symmetry_Int_Tables_number 11
loop_
_symmetry_equiv_pos_as_xyz
'x,y,z'
'-x,-y,-z'
'-x,y+1/2,-z'
'x,-y+1/2,z'
loop_
_atom_site_label
_atom_site_type_symbol
_atom_site_fract_x
_atom_site_fract_y
_atom_site_fract_z
Cs1 Cs 0.178 0.250 0.404
Ag1 Ag 0.373 0.000 0.848
Br1 Br 0.228 0.750 0.061
F1 F 0.106 0.250 0.697
F2 F 0.358 0.750 0.643
```


VASP calculation (PBE) on a geometry-optimized CsAgBr2F8 structure.

Values from the calculation:
Raw formation energy ... -1170 meV/atom
Theoretical density ... 3.6 g/cm³

CIF file:
```
data_CsAgBr2F8
_cell_length_a 11.487
_cell_length_b 6.250
_cell_length_c 7.546
_cell_angle_alpha 90.00
_cell_angle_beta 111.14
_cell_angle_gamma 90.00
_symmetry_space_group_name_H-M 'C 1 2/m 1'
_symmetry_Int_Tables_number 12
loop_
_symmetry_equiv_pos_as_xyz
'x,y,z'
'-x,-y,-z'
'-x,y,-z'
'x,-y,z'
'x+1/2,y+1/2,z'
'-x+1/2,-y+1/2,-z'
'-x+1/2,y+1/2,-z'
'x+1/2,-y+1/2,z'
loop_
_atom_site_label
_atom_site_type_symbol
_atom_site_fract_x
_atom_site_fract_y
_atom_site_fract_z
Cs1 Cs 0.000 0.000 0.000
Ag1 Ag 0.000 0.500 0.500
Br1 Br 0.238 0.000 0.669
F1 F 0.005 0.280 0.319
F2 F 0.240 0.000 0.417
Experts are often experts at giving opinions, first and foremost. Much of the reason why any of them achieve expert status at all is because they have a way of framing their advice in ways that always leave them with an out in case they get it wrong. As an example, the following quote applies to a popular breed of expert known as an economist, but it can apply to any expert:
“An economist is an expert who will know tomorrow why the things he predicted yesterday didn’t happen today.” – Laurence J. Peter
And though that ability to obscure bad advice may protect the expert’s reputation, it will not cover the money you lose taking their misguided advice. Proceed accordingly!
Build A Panel Of Personal Experts
[Crystal structures that have nothing to do with the entry]
┌──
Record 1
This record from the Alexandria database describes a PBEsol-optimized structure of YRuPt2. The functional is SCAN.

The space group is R-3m (No. 166, hexagonal axes) and the conventional cell measures 2.8393, 2.8393 and 28.1520 Å, with angles of 90.00, 90.00 and 120.00 degrees. The distinct sites, in fractional coordinates, are Y at (0.0000, 0.0000, 0.0000), Ru at (0.0000, 0.0000, 0.5000) and Pt at (0.0000, 0.0000, 0.2433).

As for the density of states at the Fermi level: 10.07 states/eV per cell. As for the mass density: 14.705 g cm⁻³. Its formation energy is 28 kJ/mol of formula units. The total DFT energy (no corrections) is -202.8 eV per formula unit.

***

Record 2
This record from the Alexandria database describes a PBEsol-optimized structure of KBa2I5. The functional is SCAN.

The space group is P2_1/c (No. 14) and the conventional cell measures 10.218, 9.140 and 14.540 Å, with angles of 90.00, 90.14 and 90.00 degrees. The distinct sites, in fractional coordinates, are K at (0.002, 0.028, 0.175), Ba at (0.246, 0.581, 0.008), Ba at (0.500, 0.028, 0.178), I at (0.046, 0.167, 0.400), I at (0.262, 0.698, 0.778), I at (0.267, 0.536, 0.502), I at (0.276, 0.169, 0.684) and I at (0.455, 0.166, 0.403).

As for the density of states at the Fermi level: 0.00 states/eV per cell. As for the mass density: 4.638 g cm⁻³. The total DFT energy (no corrections) is -286.4 eV per formula unit. The value obtained for the raw formation energy is -1906 meV per atom.

***

Record 3
This record from the Alexandria database describes a PBEsol-optimized structure of Ti2RuRh. The functional is SCAN.

The space group is Fm-3m (No. 225) and the conventional cell measures 6.104, 6.104 and 6.104 Å, with angles of 90.00, 90.00 and 90.00 degrees. The distinct sites, in fractional coordinates, are Ti at (0.250, 0.250, 0.250), Ru at (0.000, 0.000, 0.000) and Rh at (0.000, 0.000, 0.500).

As for the density of states at the Fermi level: 12.11 states/eV per cell. As for the mass density: 8.752 g cm⁻³. Its formation energy is -339 kJ/mol of formula units. The total DFT energy (no corrections) is -104.2 eV per formula unit.

* * * * *

Density functional theory data (PBE) for LiLuTlCo after structural relaxation.

ΔE to the lowest computed polymorph   0.89 eV/f.u.
Crystal system   cubic
Space group   No. 216
Total DFT energy (no corrections)   -3.831 eV per atom

Cell lengths 4.7087, 4.7087, 4.7087 Å; angles 60.00, 60.00, 60.00 degrees
With the nearest neighbours (Å) after each atom.
Sites, in units of the cell vectors:
Co  0.7500  0.7500  0.7500  4 Tl 2.88, 4 Li 2.88
Li  0.5000  0.5000  0.5000  4 Co 2.88, 4 Lu 2.88
Lu  0.2500  0.2500  0.2500  4 Tl 2.88, 4 Li 2.88
Tl  0.0000  0.0000  0.0000  4 Co 2.88, 4 Lu 2.88

---

Density functional theory data (PBE) for LiLuTlCo after structural relaxation.

ΔE to the lowest computed polymorph   0.00 eV/f.u.
Crystal system   cubic
Space group   No. 216
Total DFT energy (no corrections)   -4.054 eV per atom
└──
Popular experts have no stake in your success, that’s a big clue. That doesn’t mean that you should eliminate experts from your life completely. You should be able find experts who can give you legitimate advice that has a reasonable chance of moving you forward. Use the following criteria:

Find experts close to home – they’ll be a lot more concerned about their reputation if they are.Your experts should either be people who you’re paying to do the job, or those with whom you have a close relationship. That will ensure that they know your situation, and have a vested interest in giving you the right advice.The expert should be someone who is working for other people who you know and trust.The expert’s advice should prove to be bankable in a reasonable amount of time.A substantial amount of the experts income should come from giving advice, that way he has something to lose if the advice is bad.
An expert that you work with should be ready, willing, and able to prove his worth to you, and face some sort of risk if he can’t.
Enhance Your Own Expert Ability
Even under the best of circumstances, you should never rely entirely on expert opinion. This will mean that you’ll need to develop some prior knowledge of whatever subject that you’re seeking expert advice on. If you don’t, you will have no basis of comparison to determine if the expert advice is valid or not.
This doesn’t mean you need to become an expert yourself – that would defeat the whole purpose. But you should at least have enough information that you can properly present your needs and objectives, and be able to ask intelligent questions.